A subclass of mobile ad-hoc networks, Vehicular Ad hoc Networks (VANETs) are currently being actively developed and gaining popularity.

The nodes in VANETs are vehicles able to exchange information needed for motion. Such information includes motion speed, traffic conditions, road pavement condition, road accidents, etc. The main goal of VANETs is to make road traffic safer and more efficient.

Some of the VANET’s objectives include:

—helping the driver to control the motor vehicle by adjusting the car course and speed on the road, deploying navigation, and preventing collisions;

—reporting such road events as repair works, accidents, and obstacles; and

—and providing access to additional services, e.g., service payment, road conditions, and reporting the availability of parking lots.

VANETs can be potentially expanded and used all over the world. However, these networks suffer from a number of problems one of which is security. The role of information security in VANETs is critical because it directly affects public security. It becomes, therefore, necessary to develop efficient techniques of security provision in vehicular networks.


To identify the threats to which VANETs are exposed, one needs to analyze their features. As a subclass of mobile ad hoc networks, VANETs inherit their features as well. One can distinguish such features as the unavailability of a fixed topology and centralized infrastructure for exchanging messages from node to node and unstable internode connection due to wireless information transfer lines.

However, in addition to the inherited features, VANETs have such specific and VANET-typical features as [1]:

—high node movement speed, which means the dominance of one-off and short-time internode contacts;

—high probability of instantaneous load upsurge, e.g., in emergencies and other incidents, which may cause overload;

—a large number of simultaneously cooperating nodes and possibility for new participants to intrude into the network;

—a need to instantaneously react to occurring incidents and minimal time the nodes have to respond to messages; and

—constant changes in topology due to ad hoc motion of nodes.

Proceeding from the considered features, one may conclude that the most dangerous threats come from internal intruders and are intended to violate the network’s accessibility and integrity of transmitted messages. Confidentiality is a major property of security; in the context of VANETs, however, its violation is uncritical.

The attacks the intruder can make to affect the network’s integrity and accessibility are as follows:

—Packet modification attacks: a compromised node modifies packets of data that flow through the node. In the case of success, this attack may lead to communicating false information to the nodes. The attack seriously affects the integrity of data.

—Packet rejection attacks: the network’s normal run is violated when the intruder rejects completely or partially the packets passing through its node. The properties affected by these attacks are the accessibility and, to a greater extent, integrity of transferred data.

—Black or gray hole attacks: an intruding device disguises itself as a network node through which the best path to the destination node runs. There may be no connection between the intruder and the target node within the network at all. In the case of success, this attack impairs accessibility because, after the attack is over, other than optimal routes are used, which allows violation of the integrity of transferred information. The only difference between the black and the gray hole attack consists in the extent of their destructive effects. Whereas a black hole attack affects all received packets, whether by rejecting or modifying them, a gray hole attack affects only some of them.

—Sibylla’s attack: in this case, the intruder emulates the work of many identical nodes each of which appears in the network as a trusted node. Other nodes in the network perceive them as different. The packets transferred to the emulated nodes pass through only the attacker’s node. As a result, the network becomes less productive and, therefore, less accessible.

The intruder can make the above enumerated attacks by unauthorized access to a network node (automobile) and changing its behavior or introducing its proper malicious node into the network.


Today, many techniques have been elaborated to protect VANETs from various attacks. It is not always expedient to jointly use the available techniques of protection from specific attacks because of a large number of mobile nodes and decentralized network topology. Moreover, many techniques contradict each other, e.g., in required routing protocols, which makes their simultaneous work in one network impossible. In this regard, the preferable approaches for use in distributed networks are all-purpose techniques that allow protecting against the overwhelming majority of attacks.

In particular, good results for distributed networks are shown by the technique based on behavior analysis of nodes [2]. Relying on this approach, the nodes control the behavior of their neighbors in specific aspects. For example, to assess the reliability of its neighbor in retranslation of packets, a node can track whether the neighbor resends inbound traffic. The indicator elaborated during the behavior analysis is used by the node in deciding whether to cooperate with the neighbor or not.

However, since VANETs are characterized by increasingly mobile nodes and rapid replacement of cooperating neighbors, the number of internode contacts may be insufficient for unambiguously revealing a malicious node. The means proposed to solve this problem is the set of tools of neural networks. Using the indicators of behavior obtained in a certain period, one can predict a node’s intentions and thus reduce the time necessary to reveal a malicious node.

The set of tools of neural networks makes it possible to solve several tasks one of which is forecasting. The neural network’s forecasting ability stems directly from the ability to distinguish hidden dependences between input and output data and make their classification. After the learning phase, the network can forecast the future value of some sequence. The forecasting task is defined as follows: assume that there are n discrete readings {y(t1), y(t2) …, y(tk)} in successive time instants t1, t2,, tk. The task is to predict the value of y(tk + 1) at some time instant tk + 1 in the future.

The kind of neural network that is used to solve predictive problems is a radial- basis neural network [3]. They are constructed using radial neurons the activation function of which carries nonzero values only in the vicinity of its center.

The input parameters to be supplied to the neural network are N current indicators of a certain aspect of behavior. The forecast indicator will come at the network’s exit.

The most important aspects of behavior that allow protecting against the overwhelming majority of attacks are

—packet transmission when the packet retranslation process is checked for detecting nodes that do not resend packets or resend only certain ones;

—packet integrity when packets are checked upon retranslation for integrity to ensure protection against packet modification attacks; and

—intensity of queries that shows the frequency of queries generated by a node and allows protecting against attacks related to line clogging and depletion of computational resources.

Packet transmission and integrity are defined as the number of successfully processed packets related to the overall number of packets transferred to the node. Successful processing is understood as the correct retranslation of a packet without modifying its contents. The intensity of queries can be defined as the number of queries generated per fixed interval of time.

____________
First-principles (PBE) data for crystalline SmHoGa2Pt5 at its relaxed geometry, as listed in Alexandria via LeMat-Bulk.

Summary:
Space group: P4/mmm, No. 123
Energy relative to the elements in eV/atom: -0.924
Volume in Å³ per atom: 18.33
Magnetization in Bohr magnetons per cell: 0.00

abc: 4.199 4.199 9.358
angles: 90.00 90.00 90.00
Positions (direct):
Pt (0.500, 0.000, 0.272)
Pt (0.000, 0.500, 0.272)
Pt (0.500, 0.500, 0.500)
Pt (0.000, 0.500, 0.728)
Pt (0.500, 0.000, 0.728)
Ga (0.500, 0.500, 0.130)
Ga (0.500, 0.500, 0.870)
Sm (0.000, 0.000, 0.500)
Ho (0.000, 0.000, 0.000)

First-principles (PBE) data for crystalline Gd2ErHf at its relaxed geometry, as listed in Alexandria via LeMat-Bulk.

Summary:
Space group: P4/mmm, No. 123
ΔE to the lowest computed polymorph in meV/atom: 0
Energy relative to the elements in eV/atom: 0.118
Volume in Å³ per atom: 28.66
Magnetization in Bohr magnetons per cell: 14.33

abc: 3.416 3.416 9.823
angles: 90.00 90.00 90.00
Positions (direct):
Hf (0.500, 0.500, 0.500)
Er (0.500, 0.500, 0.000)
Gd (0.000, 0.000, 0.268)
Gd (0.000, 0.000, 0.732)

First-principles (PBE) data for crystalline PrMgGe2 at its relaxed geometry, as listed in Alexandria via LeMat-Bulk.

Summary:
Space group: Pnma, No. 62
ΔE to the lowest computed polymorph in meV/atom: 0
Energy relative to the elements in eV/atom: -0.538
Volume in Å³ per atom: 22.64
Magnetization in Bohr magnetons per cell: 0.00

abc: 4.012 8.210 10.998
angles: 90.00 90.00 90.00
Positions (direct):
Pr (0.250, 0.623, 0.644)
Pr (0.750, 0.377, 0.356)
Pr (0.250, 0.123, 0.856)
Pr (0.750, 0.877, 0.144)
Ge (0.250, 0.169, 0.191)
Ge (0.750, 0.252, 0.053)
Ge (0.250, 0.669, 0.309)
Ge (0.250, 0.248, 0.553)
Ge (0.750, 0.831, 0.809)
Ge (0.250, 0.748, 0.947)
Ge (0.750, 0.331, 0.691)
Ge (0.750, 0.752, 0.447)
Mg (0.250, 0.989, 0.394)
Mg (0.250, 0.489, 0.106)
Mg (0.750, 0.011, 0.606)
Mg (0.750, 0.511, 0.894)


Material: HgAsW
Method: DFT, GGA-PBE
State: optimized geometry Values from VASP.

Quantum ESPRESSO input file:
```
&SYSTEM
  ibrav = 0, nat = 6, ntyp = 3
/
ATOMIC_SPECIES
Hg 200.59 Hg.upf
As 74.92 As.upf
W 183.84 W.upf
CELL_PARAMETERS angstrom
3.262 0.000 0.000
0.000 3.262 0.000
0.000 0.000 10.511
ATOMIC_POSITIONS crystal
Hg 0.000 0.000 0.000
Hg 0.500 0.500 0.500
As 0.000 0.000 0.300
As 0.500 0.500 0.800
W 0.000 0.000 0.690
W 0.500 0.500 0.190
```

Results
calculated density: 13.64 g cm⁻³
V: 18.636 Å³ per atom
E_form: 1.41 eV/f.u.
total energy: -5.50 eV per atom


This record from the Alexandria database describes crystalline Tl2HgF at its relaxed geometry. The functional is GGA-PBE.

Density of states at the Fermi level ... 0.438 states/eV per atom
Formation energy without anion corrections ... -0.665 eV/atom
E ... -0.088 Ha/atom

Structure (CIF):
```
data_Tl2HgF
_chemical_formula_sum 'Tl8 Hg4 F4'
_cell_length_a 7.3720
_cell_length_b 7.3720
_cell_length_c 7.3720
_cell_angle_alpha 90.00
_cell_angle_beta 90.00
_cell_angle_gamma 90.00
_symmetry_space_group_name_H-M 'F m -3 m'
____________
_The text goes on_

The number of aspects of behavior can be increased depending on the task for solution. Each aspect is predicted using a respective neural network. For the architecture of the used neural network, see Fig. 1.

Fig. 1.
figure 1

Architecture of a radial basis network.

_Between two parts of the page: data records_
- - -
# H2WO, relaxed, DFT GGA+U
data_H2WO
_space_group_name_H-M_alt 'F m -3 m'
_space_group_IT_number 225
_space_group_name_Hall '-F 4 2 3'
_cell_length_a 4.9487
_cell_length_b 4.9487
_cell_length_c 4.9487
_cell_angle_alpha 90.00
_cell_angle_beta 90.00
_cell_angle_gamma 90.00
loop_
_atom_site_label
_atom_site_type_symbol
_atom_site_fract_x
_atom_site_fract_y
_atom_site_fract_z
_atom_site_occupancy
H1 H 0.2500 0.2500 0.2500 1
W1 W 0.0000 0.0000 0.0000 1
O1 O 0.0000 0.0000 0.5000 1
# Total magnetization = 7.98 Bohr magnetons per cell
- - -

The input network layer receives N indicators on the basis of a particular aspect of behavior. The hidden layer contains the radial basis activation function. The output layer derives the forecast indicator of behavior by weighted summation of values generated by hidden neurons.

The number of neurons in the input layer corresponds to the number of input indicators. The number of neurons in the hidden layer depends on many factors and is defined during the tests upon reaching the required precision.

The neurons in the hidden layer are activated using the Gaussian function

$${{\varphi }_{i}}(x) = \varphi (\vec {x},{{\vec {c}}_{i}}) = \exp \left( { - \frac{1}{{2{{\sigma }^{2}}}}{{{\left\| {\vec {x} - {{{\vec {c}}}_{i}}} \right\|}}^{2}}} \right),\,\,\,\,i = 1,2, \ldots ,K,$$

where x is the input vector and \(\sigma \) and с are the activation function’s controlling parameters, referred to as the “function window width” and “center,” respectively.

Coefficients \(\sigma \) and с are defined in the network adjustment phase. Vector c takes individual random examples from the learning sample. Width \(\sigma \) is defined explicitly by heuristic selection [4].

The vector difference norm is found as the Euclidean distance according to the following equation:

$$\left\| {\vec {x} - \vec {c}} \right\| = \sqrt {\sum\limits_{i = 1}^N {{{{({{x}_{i}} - {{c}_{i}})}}^{2}}} } .$$

The hidden layer neurons are linked in a fully connected scheme with the output layer neuron responsible for the weighted summation according to the following equation:

$$y(x) = \sum\limits_{i = 1}^K {{{\omega }_{i}}{{\varphi }_{i}}(x)} ,$$

where ω is the weight vector that is the center of the radial basis function that corresponds to the neuron with number i.

The weights from the neurons of the hidden to the output layer are found using linear regression [5].


The main feature of VANETs is the need for a distributed self-organizing topology to maintain a rapid transfer of data among mobile nodes. However, this does not rule out the possibility for automobiles to communicate not only with each other but with the roadside network as well [6]. This way, the user can obtain access to various services such as payment for services, information about free parking lots, etc.

Safety will also be ensured using urban infrastructure. For the proposed network architecture see Fig. 2. The nodes in this architecture exchange necessary information that maintains traffic safety. In addition, the nodes cooperate with base stations (BSs) spread across the network’s entire service domain.

Fig. 2.
figure 2

Architecture of a VANET with neural network protection.

In the context of security provision, these stations are meant to cooperate with the nodes, obtain necessary indicators of behavior, and transfer these data to the processing server. The server performs the required computations using the set of neural network tools and forecasts node behavior indicators. If the indicator of some aspect is below the set threshold value, this information will be sent to all the nodes in the network via base stations. The threshold indicator at which a node will be defined as malicious is found statically during the tests.

Each node in the network decides for itself how to use the information about the malicious node received from the server. Some nodes can stop all cooperation with this node altogether; others can continue this cooperation but in restricted mode, e.g., ignoring only certain packets.

There are several strong points of using the given architecture for security provision. First of all, the complicated access to elements of urban infrastructure will prevent the intruder from negatively affecting the base stations. Second, the server responsible for security has more computational resources than do mobile nodes, which will allow complex computations.


This study has resulted in proposing an approach to providing protection for vehicular ad-hoc networks against internal intruder threats. The characteristic features of VANETs have been identified, and their influence on the network’s security has been determined. Protection techniques delivering good results in ad hoc networks have many features that make these methods insufficiently effective. The solution proposed to solve the problems that have emerged is the use of a radial basis neural network for forecasting node behavior indicators. The architecture has been determined in which the elaborated security provision technique will be used.

The future work plan involves modeling the work of a VANET using the proposed protection technique in the emulator for efficiency assessment. In addition, the network’s emulation will allow elaborating a more precise approach to selecting neural network parameters.